- - -
# 1
Pr4B3O10F: relaxed, PBE.

Results
- total DFT energy (no corrections) (eV/cell) = -294.1
- energy of formation from the pure elements (meV/atom) = -3546
- crystal system = triclinic
- total moment (μB per formula unit) = 0.0

abc: 6.6544 8.8414 8.8813
angles: 105.83 106.38 106.68
Sites, in units of the cell vectors:
Pr  0.0020  0.1468  0.2360
Pr  0.2145  0.3591  0.8030
Pr  0.3321  0.8088  0.1669
Pr  0.3540  0.6574  0.5423
Pr  0.6460  0.3426  0.4577
Pr  0.6679  0.1912  0.8331
Pr  0.7855  0.6409  0.1970
Pr  0.9980  0.8532  0.7640
B  0.2191  0.4551  0.1728
B  0.2516  0.0151  0.4962
B  0.4272  0.1662  0.0717
B  0.5728  0.8338  0.9283
B  0.7484  0.9849  0.5038
B  0.7809  0.5449  0.8272
O  0.0362  0.2939  0.0430
O  0.0940  0.9232  0.3298
O  0.1330  0.5877  0.2465
O  0.2921  0.0736  0.1360
O  0.3211  0.9338  0.6001
O  0.3307  0.1441  0.9030
O  0.3400  0.7347  0.8358
O  0.3440  0.4182  0.3196
O  0.3463  0.1931  0.5541
O  0.3722  0.5339  0.0965
O  0.6278  0.4661  0.9035
O  0.6537  0.8069  0.4459
O  0.6560  0.5818  0.6804
O  0.6600  0.2653  0.1642
O  0.6693  0.8559  0.0970
O  0.6789  0.0662  0.3999
O  0.7079  0.9264  0.8640
O  0.8670  0.4123  0.7535
O  0.9060  0.0768  0.6702
O  0.9638  0.7061  0.9570
F  0.0679  0.3746  0.5064
F  0.9321  0.6254  0.4936

# 2
Na3CuAsCO7: relaxed, PBE.

Results
- total DFT energy (no corrections) (eV/cell) = -151.5
- energy of formation from the pure elements (meV/atom) = -1842
- crystal system = monoclinic
- total moment (μB per formula unit) = 1.0

abc: 5.3053 6.7384 9.2066
angles: 90.00 92.99 90.00
Sites, in units of the cell vectors:
Na  0.2312  0.2500  0.0793
Na  0.2455  0.5029  0.7423
Na  0.2455  0.9971  0.7423
Na  0.7545  0.0029  0.2577
Na  0.7545  0.4971  0.2577
Na  0.7688  0.7500  0.9207
Cu  0.2202  0.7500  0.3475
Cu  0.7798  0.2500  0.6525
As  0.3076  0.2500  0.4209
As  0.6924  0.7500  0.5791
C  0.2835  0.7500  0.0578
C  0.7165  0.2500  0.9422
O  0.0786  0.7500  0.1324
O  0.1746  0.2500  0.5840
O  0.2250  0.0513  0.3079
O  0.2250  0.4487  0.3079
O  0.2586  0.7500  0.9173
O  0.3638  0.7500  0.5520
O  0.4972  0.2500  0.8752
O  0.5028  0.7500  0.1248
O  0.6362  0.2500  0.4480
O  0.7414  0.2500  0.0827
O  0.7750  0.5513  0.6921
O  0.7750  0.9487  0.6921
O  0.8254  0.7500  0.4160
O  0.9214  0.2500  0.8676

- Look up the total DFT energy (no corrections) of the first one.
  -294.1 eV/cell

- Which value of total DFT energy (no corrections) does entry 2 give?
  -151.5 eV/cell

- Look up the total moment of the second one.
  1.0 μB per formula unit

- Among the records above, which one has the lowest energy of formation from the pure elements?
  Pr4B3O10F

=====

Material: SrPH7CO6
Method: DFT, PBE-GGA
State: relaxed

Unit cell a=8.222 b=9.359 c=20.574 alpha=90.00 beta=90.00 gamma=90.00
Positions (direct):
Sr  0.239  0.338  0.233
Sr  0.739  0.162  0.767
Sr  0.761  0.838  0.267
Sr  0.261  0.662  0.733
Sr  0.761  0.662  0.767
Sr  0.261  0.838  0.233
Sr  0.239  0.162  0.733
Sr  0.739  0.338  0.267
P  0.094  0.578  0.329
P  0.594  0.922  0.671
P  0.906  0.078  0.171
P  0.406  0.422  0.829
P  0.906  0.422  0.671
P  0.406  0.078  0.329
P  0.094  0.922  0.829
P  0.594  0.578  0.171
H  0.542  0.304  0.408
H  0.042  0.196  0.592
H  0.458  0.804  0.092
H  0.958  0.696  0.908
H  0.458  0.696  0.592
H  0.958  0.804  0.408
H  0.542  0.196  0.908
H  0.042  0.304  0.092
H  0.957  0.155  0.488
H  0.457  0.345  0.512
H  0.043  0.655  0.012
H  0.543  0.845  0.988
H  0.043  0.845  0.512
H  0.543  0.655  0.488
H  0.957  0.345  0.988
H  0.457  0.155  0.012
H  0.891  0.193  0.416
H  0.391  0.307  0.584
H  0.109  0.693  0.084
H  0.609  0.807  0.916
H  0.109  0.807  0.584
H  0.609  0.693  0.416
H  0.891  0.307  0.916
H  0.391  0.193  0.084
H  0.596  0.448  0.444
H  0.096  0.052  0.556
H  0.404  0.948  0.056
H  0.904  0.552  0.944
H  0.404  0.552  0.556
H  0.904  0.948  0.444
H  0.596  0.052  0.944
H  0.096  0.448  0.056
H  0.229  0.448  0.415
H  0.729  0.052  0.585
H  0.771  0.948  0.085
H  0.271  0.552  0.915
- - -

Now set down all of the calculation results earlier on unchanged.

# 1
Pr4B3O10F: relaxed, PBE.

Results
- total DFT energy (no corrections) (eV/cell) = -294.1
- energy of formation from the pure elements (meV/atom) = -3546
- crystal system = triclinic
- total moment (μB per formula unit) = 0.0

abc: 6.6544 8.8414 8.8813
angles: 105.83 106.38 106.68
Sites, in units of the cell vectors:
Pr  0.0020  0.1468  0.2360
Pr  0.2145  0.3591  0.8030
Pr  0.3321  0.8088  0.1669
Pr  0.3540  0.6574  0.5423
Pr  0.6460  0.3426  0.4577
Pr  0.6679  0.1912  0.8331
Pr  0.7855  0.6409  0.1970
Pr  0.9980  0.8532  0.7640
B  0.2191  0.4551  0.1728
B  0.2516  0.0151  0.4962
B  0.4272  0.1662  0.0717
B  0.5728  0.8338  0.9283
B  0.7484  0.9849  0.5038
B  0.7809  0.5449  0.8272
O  0.0362  0.2939  0.0430
O  0.0940  0.9232  0.3298
O  0.1330  0.5877  0.2465
O  0.2921  0.0736  0.1360
O  0.3211  0.9338  0.6001
O  0.3307  0.1441  0.9030
O  0.3400  0.7347  0.8358
O  0.3440  0.4182  0.3196
O  0.3463  0.1931  0.5541
O  0.3722  0.5339  0.0965
O  0.6278  0.4661  0.9035
O  0.6537  0.8069  0.4459
O  0.6560  0.5818  0.6804
O  0.6600  0.2653  0.1642
O  0.6693  0.8559  0.0970
O  0.6789  0.0662  0.3999
O  0.7079  0.9264  0.8640
O  0.8670  0.4123  0.7535
O  0.9060  0.0768  0.6702
O  0.9638  0.7061  0.9570
F  0.0679  0.3746  0.5064
F  0.9321  0.6254  0.4936

# 2
Na3CuAsCO7: relaxed, PBE.

Results
- total DFT energy (no corrections) (eV/cell) = -151.5
- energy of formation from the pure elements (meV/atom) = -1842
- crystal system = monoclinic
- total moment (μB per formula unit) = 1.0

abc: 5.3053 6.7384 9.2066
angles: 90.00 92.99 90.00
Sites, in units of the cell vectors:
Na  0.2312  0.2500  0.0793
Na  0.2455  0.5029  0.7423
Na  0.2455  0.9971  0.7423
Na  0.7545  0.0029  0.2577
Na  0.7545  0.4971  0.2577
Na  0.7688  0.7500  0.9207
Cu  0.2202  0.7500  0.3475
Cu  0.7798  0.2500  0.6525
As  0.3076  0.2500  0.4209
As  0.6924  0.7500  0.5791
C  0.2835  0.7500  0.0578
C  0.7165  0.2500  0.9422
O  0.0786  0.7500  0.1324
O  0.1746  0.2500  0.5840
O  0.2250  0.0513  0.3079
O  0.2250  0.4487  0.3079
O  0.2586  0.7500  0.9173
O  0.3638  0.7500  0.5520
O  0.4972  0.2500  0.8752
O  0.5028  0.7500  0.1248
O  0.6362  0.2500  0.4480
O  0.7414  0.2500  0.0827
O  0.7750  0.5513  0.6921
O  0.7750  0.9487  0.6921
O  0.8254  0.7500  0.4160
O  0.9214  0.2500  0.8676

- Look up the total DFT energy (no corrections) of the first one.
  -294.1 eV/cell

- Which value of total DFT energy (no corrections) does entry 2 give?
  -151.5 eV/cell

- Look up the total moment of the second one.
  1.0 μB per formula unit

- Among the records above, which one has the lowest energy of formation from the pure elements?
  Pr4B3O10F

=====

Material: SrPH7CO6
Method: DFT, PBE-GGA
State: relaxed

Unit cell a=8.222 b=9.359 c=20.574 alpha=90.00 beta=90.00 gamma=90.00
Positions (direct):
Sr  0.239  0.338  0.233
Sr  0.739  0.162  0.767
Sr  0.761  0.838  0.267
Sr  0.261  0.662  0.733
Sr  0.761  0.662  0.767
Sr  0.261  0.838  0.233
Sr  0.239  0.162  0.733
Sr  0.739  0.338  0.267
P  0.094  0.578  0.329
P  0.594  0.922  0.671
P  0.906  0.078  0.171
P  0.406  0.422  0.829
P  0.906  0.422  0.671
P  0.406  0.078  0.329
P  0.094  0.922  0.829
P  0.594  0.578  0.171
H  0.542  0.304  0.408
H  0.042  0.196  0.592
H  0.458  0.804  0.092
H  0.958  0.696  0.908
H  0.458  0.696  0.592
H  0.958  0.804  0.408
H  0.542  0.196  0.908
H  0.042  0.304  0.092
H  0.957  0.155  0.488
H  0.457  0.345  0.512
H  0.043  0.655  0.012
H  0.543  0.845  0.988
H  0.043  0.845  0.512
H  0.543  0.655  0.488
H  0.957  0.345  0.988
H  0.457  0.155  0.012
H  0.891  0.193  0.416
H  0.391  0.307  0.584
H  0.109  0.693  0.084
H  0.609  0.807  0.916
H  0.109  0.807  0.584
H  0.609  0.693  0.416
H  0.891  0.307  0.916
H  0.391  0.193  0.084
H  0.596  0.448  0.444
H  0.096  0.052  0.556
H  0.404  0.948  0.056
H  0.904  0.552  0.944
H  0.404  0.552  0.556
H  0.904  0.948  0.444
H  0.596  0.052  0.944
H  0.096  0.448  0.056
H  0.229  0.448  0.415
H  0.729  0.052  0.585
H  0.771  0.948  0.085
H  0.271  0.552  0.915